World’s second largest steel producer launches blockchain – Ledger Insights

On Wednesday, an affiliate of China’s state-owned steel producer Baosteel launched the “Ouyeel Chain” for deposit certificates. For Ouyeel Business Cloud, this is the second blockchain initiative and part of a larger roadmap. While previous initiatives focused on finance, this one is more about certificates, traceability and regulatory supervision. Earlier in the week, Ouyeel held a conference with the Shanghai Futures Exchange, although that wasn’t included in the blockchain announcement.

Back in 2015, Baosteel set up an online e-commerce steel portal, Ouye Yunshang. The first blockchain solution was unveiled in 2018 for supply chain finance. When a large buyer purchases steel, it will issue a certificate confirming that it owes the money to the small supplier. This blockchain-based credit certificate or “Tongbao” is then used by the supplier to raise finance. So far, more than 150 billion yuan ($21.7 billion) has been issued via the platform from eight banks.

Since then, the Tongbao assets have been bundled up as an Asset Backed Security (ABS) and listed on the Shanghai Stock Exchange.

**Misplaced crystal structures**
+++
Record 1
Structure and theoretical X-ray powder pattern of PrP2Pt2 (a GGA-PBE-relaxed structure; Cu Kα (weighted mean of Kα1 and Kα2)).

Main lines, by angle (10 to 90 degrees two-theta):
h k l, two_theta, I (rel.)
0 0 6, 27.62, 22
1 1 2, 30.75, 95
1 0 5, 31.03, 83
1 1 4, 34.77, 100
1 0 7, 38.66, 39
2 0 0, 41.91, 87
1 1 8, 47.97, 30
2 1 5, 53.05, 38
2 1 7, 58.32, 23
2 2 0, 60.76, 29
1 1 12, 65.40, 25
3 1 4, 71.95, 24

```
data_PrP2Pt2
_chemical_formula_sum 'Pr4 P8 Pt8'
_symmetry_space_group_name_H-M 'I 4/m m m'
_symmetry_Int_Tables_number 139
_symmetry_space_group_name_Hall '-I 4 2'
_cell_length_a 4.3114
_cell_length_b 4.3114
_cell_length_c 19.3763
_cell_angle_alpha 90.00
_cell_angle_beta 90.00
_cell_angle_gamma 90.00
loop_
_atom_site_label
_atom_site_type_symbol
_atom_site_fract_x
_atom_site_fract_y
_atom_site_fract_z
Pr1 Pr 0.0000 0.0000 0.1251
P1 P 0.0000 0.0000 0.4305
P2 P 0.0000 0.5000 0.2500
Pt1 Pt 0.0000 0.0000 0.3068
Pt2 Pt 0.0000 0.5000 0.0000
```

---

Record 2
Structure and theoretical X-ray powder pattern of Ge2S5 (a GGA-PBE-relaxed structure; Cu Kα (weighted mean of Kα1 and Kα2)).

Main lines, by angle (10 to 90 degrees two-theta):
h k l, two_theta, I (rel.)
1 0 1, 11.41, 70
0 1 1, 12.64, 43
0 1 -1, 13.76, 44
1 -1 0, 14.37, 41
1 2 1, 20.88, 49
2 0 3, 28.59, 65
1 1 -2, 28.62, 48
2 -2 0, 28.99, 100
1 4 1, 37.79, 43
-3 1 2, 47.51, 78
2 4 -1, 48.06, 41
-1 5 1, 48.71, 40

```
data_Ge2S5
_chemical_formula_sum 'Ge8 S20'
_symmetry_space_group_name_H-M 'P -1'
_symmetry_Int_Tables_number 2
_symmetry_space_group_name_Hall '-P 1'
_cell_length_a 8.5705
_cell_length_b 9.8816
_cell_length_c 10.1249
_cell_angle_alpha 85.17
_cell_angle_beta 65.06
_cell_angle_gamma 89.06
loop_
_atom_site_label
_atom_site_type_symbol
_atom_site_fract_x
_atom_site_fract_y
_atom_site_fract_z
Ge1 Ge 0.0212 0.1693 0.2358
Ge2 Ge 0.1193 0.4977 0.6796
Ge3 Ge 0.3097 0.6945 0.8529
Ge4 Ge 0.3877 0.7774 0.4814
S1 S 0.0417 0.2898 0.6706
S2 S 0.0805 0.8300 0.9371
S3 S 0.1188 0.3760 0.2493
S4 S 0.1694 0.9241 0.5435
S5 S 0.2332 0.4787 0.8447
S6 S 0.2483 0.0405 0.1615
S7 S 0.3117 0.5690 0.4522
S8 S 0.4135 0.1520 0.7353
S9 S 0.4208 0.6899 0.0130
S10 S 0.4841 0.2200 0.3638
```

---

Record 3
Structure and theoretical X-ray powder pattern of SiC (a GGA-PBE-relaxed structure; Cu Kα (weighted mean of Kα1 and Kα2)).

Main lines, by angle (10 to 90 degrees two-theta):
h k l, two_theta, I (rel.)
1 0 13, 33.88, 32
0 1 23, 34.83, 9
0 1 26, 35.21, 22
0 0 84, 35.52, 100
0 1 29, 35.64, 13
0 1 41, 37.77, 27
1 0 43, 38.18, 24
0 1 56, 41.23, 9
1 1 0, 59.71, 67
0 1 125, 65.02, 12
1 0 127, 65.85, 11
1 1 84, 71.44, 53

```
data_SiC
_chemical_formula_sum 'Si84 C84'
_symmetry_space_group_name_H-M 'R 3 m'
_symmetry_Int_Tables_number 160
_symmetry_space_group_name_Hall 'R 3 -2"'
_cell_length_a 3.0979
_cell_length_b 3.0979
_cell_length_c 212.1931
_cell_angle_alpha 90.00
_cell_angle_beta 90.00
_cell_angle_gamma 120.00
loop_
_atom_site_label
_atom_site_type_symbol
_atom_site_fract_x
_atom_site_fract_y
+++

In this weeks’s announcement, the company says the new Ouyeel Chain now provides digital deposit certificates and supervision filing services.

It outlined a blockchain roadmap which divides the applications into three groups. The first is the transaction center such as the order, sale, delivery tracking and regulatory reporting. Second is integration, presumably with off-chain systems. This covers linking direct orders, warehouse receipts, credit applications and review, and repayments. 

The third set of functionality relates to tax or more likely customs. It covers the contract, payment flow, purchase and sales invoices, logistics in and out as well as quality inspections.

Link to metals futures

The report about the conference with Ouyell and the Shanghai Futures Exchange could be unrelated. However, it referenced linking the “last mile of futures services to the real economy”. It covered warehouse receipts for ferrous metals and the potential for over-the-counter (OTC) derivatives. Warehouse receipts are a common source of fraud where they are financed multiple times. For any OTC trading linked to physical delivery, a tamper proof blockchain for warehouse receipts would enhance security. Separate to this conference, the Shanghai Futures Exchange announced its own warehouse receipt blockchain project.

Examples of warehouse receipt frauds include the 2014 China’s Qingdao metal warehouse incident, which cost banks in the region of $3 billion. This year Singapore’s oil trader Hin Leong has led to losses in the region of $3 billion allegedly related to double financing and forged documents.

This latter point highlights an issue that blockchain cannot solve. What is on a blockchain cannot be tampered with. But it’s possible to add false documents. To ensure warehouse receipts are valid, there would need to be regular unannounced audits to reconcile warehouse contents to the blockchain. 

Alternatively, if all warehouse receipts include provenance, such as proof of shipping issued by a third party, it makes it harder to commit a fraud. That proof can’t be a copy of the paperwork, but instead needs a digital signature that can only come from the third party. Additionally, it will be necessary for multiple blockchains to interoperate to ensure that a warehouse receipt can’t be financed on multiple chains.

Meanwhile, another example of a metals warehouse receipt blockchain in China is one being developed by Ant Group. It’s working with the Qianhai Mercantile Exchange (QME), a subsidiary of HKEX, the London Metal Exchange owner.

Baosteel’s other blockchain endeavors

Additionally, Baosteel is trying out various Western blockchains. It has run transactions on the Contour trade finance blockchain as well as Minehub.